Cocky Bastard - Page 69/90

Aubrey: I’m sure you do, pervert.

Chance: Who’s the pervert? I was talking about the vehicle. What were you talking about? Better yet…can you demonstrate?

Aubrey: You’re unbelievable.

Chance: Are you smiling?

Aubrey: Maybe.

Chance: Good. So, what do you say?

Aubrey: I can’t do it tomorrow. What about Sunday?

(Inserted here: data records)
A geometry-optimized Sc2SbAu2 structure. Source: Alexandria, functional GGA-PBE.

Cell: 4.691 4.691 10.809 Å, 90.00 90.00 90.00°
Space group I4/mmm (No. 139)
Symmetry-distinct sites (fractional):
1 Sc 0.000 0.500 0.250 [4 per cell]
2 Sb 0.000 0.000 0.000 [2 per cell]
3 Au 0.000 0.000 0.377 [4 per cell]

Output
Energy above the lowest structure with this stoichiometry: 245.6 meV/atom
Theoretical density: 8.45 g cm⁻³
V: 238 Å³/cell
Crystal system: tetragonal
Formation energy (no corrections): -0.462 eV per atom

A geometry-optimized ScSb2Au structure. Source: Alexandria, functional GGA-PBE.

Cell: 7.191 7.191 7.191 Å, 90.00 90.00 90.00°
Space group Fm-3m (No. 225)
Symmetry-distinct sites (fractional):
1 Sc 0.000 0.000 0.000 [4 per cell]
2 Sb 0.250 0.250 0.250 [8 per cell]
3 Au 0.000 0.000 0.500 [4 per cell]

Output
Theoretical density: 8.67 g cm⁻³
V: 372 Å³/cell
Crystal system: cubic
Formation energy (no corrections): -0.148 eV per atom

A geometry-optimized ScSb2Au structure. Source: Alexandria, functional GGA-PBE.

Cell: 3.216 4.336 7.496 Å, 90.00 99.49 90.00°
Space group Pm (No. 6)
Symmetry-distinct sites (fractional):
1 Sc 0.000 0.000 0.000 [1 per cell]
2 Sb 0.426 0.500 0.793 [1 per cell]
3 Sb 0.641 0.000 0.401 [1 per cell]
4 Au 0.567 0.500 0.174 [1 per cell]

Output
Theoretical density: 7.82 g cm⁻³
V: 103 Å³/cell
Crystal system: monoclinic
Formation energy (no corrections): -0.427 eV per atom

A geometry-optimized ScSb2Au structure. Source: Alexandria, functional GGA-PBE.

Cell: 3.4310 3.4310 27.5826 Å, 90.00 90.00 120.00°
Space group R-3m (No. 166, hexagonal axes)
Symmetry-distinct sites (fractional):
1 Sc 0.0000 0.0000 0.0000 [3 per cell]
2 Sb 0.0000 0.0000 0.2472 [6 per cell]
3 Au 0.0000 0.0000 0.5000 [3 per cell]

Output
Theoretical density: 8.60 g cm⁻³
V: 281 Å³/cell
Crystal system: trigonal
Formation energy (no corrections): -0.161 eV per atom

A geometry-optimized ScSb2Au structure. Source: Alexandria, functional GGA-PBE.

Cell: 4.407 4.407 9.421 Å, 90.00 90.00 90.00°
Space group I4/mmm (No. 139)
Symmetry-distinct sites (fractional):
1 Sc 0.000 0.000 0.000 [2 per cell]
2 Sb 0.000 0.500 0.250 [4 per cell]
3 Au 0.000 0.000 0.500 [2 per cell]

Output
Theoretical density: 8.81 g cm⁻³
V: 183 Å³/cell
Crystal system: tetragonal
Formation energy (no corrections): -0.336 eV per atom

A geometry-optimized ScSb2Au structure. Source: Alexandria, functional GGA-PBE.

Cell: 4.180 4.180 10.401 Å, 90.00 90.00 90.00°
Space group I-4m2 (No. 119)
Symmetry-distinct sites (fractional):
1 Sc 0.000 0.000 0.000 [2 per cell]
2 Sb 0.000 0.000 0.500 [2 per cell]
3 Sb 0.000 0.500 0.250 [2 per cell]
4 Au 0.000 0.500 0.750 [2 per cell]

Output
Theoretical density: 8.87 g cm⁻³
V: 182 Å³/cell
Crystal system: tetragonal
Formation energy (no corrections): -0.393 eV per atom

A geometry-optimized ScSb2Au structure. Source: Alexandria, functional GGA-PBE.

Cell: 3.7417 3.7417 24.4022 Å, 90.00 90.00 120.00°
Space group R3m (No. 160, hexagonal axes)

Not wanting to wait an entire day to spend time with her, disappointment set in.

Chance: I happen to be available Sunday.

Aubrey: Do I need to bring anything?

Chance: I’ve got it taken care of.

Aubrey: That scares me.

Chance: LOL. It should.

Aubrey: See you Sunday then.

Chance: What time shall I pick you up?

Aubrey: Noon?

[Misplaced data records]
=====
[1]
Compound: CaCePb2
Source: Alexandria via LeMat-Bulk
Functional: PBE
Structure: relaxed

a = 3.6029 Å, b = 3.6029 Å, c = 9.2220 Å
α = 90.00°, β = 90.00°, γ = 90.00°
Last column: nearest neighbours and their distance in Å.
Element x y z (fractional)
Ce (0.5000, 0.5000, 0.0000)  8 Pb 3.45, 4 Ce 3.60
Pb (0.0000, 0.0000, 0.2524)  4 Ca 3.42, 4 Ce 3.45, 4 Pb 3.60
Ca (0.5000, 0.5000, 0.5000)  8 Pb 3.42, 4 Ca 3.60
Pb (0.0000, 0.0000, 0.7476)  4 Ca 3.42, 4 Ce 3.45, 4 Pb 3.60

Output
The space-group type is P4/mmm, No. 123.

[2]
Compound: CaCe5Pb3
Source: Alexandria via LeMat-Bulk
Functional: PBE
Structure: relaxed

a = 6.7786 Å, b = 9.6364 Å, c = 9.6365 Å
α = 120.00°, β = 90.00°, γ = 90.00°
Last column: nearest neighbours and their distance in Å.
Element x y z (fractional)
Ce (0.2500, 0.3478, 0.3478)  5 Pb 3.18-3.40
Ce (0.5000, 0.3333, 0.6667)  8 Ce 3.39-3.57, 6 Pb 3.68
Ce (0.2500, 0.0000, 0.6522)  5 Pb 3.18-3.40
Ce (0.7500, 0.3478, 0.0000)  5 Pb 3.18-3.40
Pb (0.7500, 0.3220, 0.3220)  5 Ce 3.18-3.40, 2 Ca 3.54
Ce (0.0000, 0.6667, 0.3333)  8 Ce 3.39-3.57, 6 Pb 3.68
Ca (0.0000, 0.0000, 0.0000)  2 Ca 3.39, 6 Pb 3.54, 6 Ce 3.76
Pb (0.2500, 0.0000, 0.3220)  5 Ce 3.18-3.40, 2 Ca 3.54
Pb (0.7500, 0.6780, 0.0000)  5 Ce 3.18-3.40, 2 Ca 3.54
Ce (0.2500, 0.6522, 0.0000)  5 Pb 3.18-3.40
Pb (0.2500, 0.3220, 0.0000)  5 Ce 3.18-3.40, 2 Ca 3.54
Pb (0.2500, 0.6780, 0.6780)  5 Ce 3.18-3.40, 2 Ca 3.54
Pb (0.7500, 0.0000, 0.6780)  5 Ce 3.18-3.40, 2 Ca 3.54
Ca (0.5000, 0.0000, 0.0000)  2 Ca 3.39, 6 Pb 3.54, 6 Ce 3.76
Ce (0.7500, 0.6522, 0.6522)  5 Pb 3.18-3.40
Ce (0.5000, 0.6667, 0.3333)  8 Ce 3.39-3.57, 6 Pb 3.68
Ce (0.7500, 0.0000, 0.3478)  5 Pb 3.18-3.40
Ce (0.0000, 0.3333, 0.6667)  8 Ce 3.39-3.57, 6 Pb 3.68

Output
The space-group type is P6_3/mcm, No. 193.

[3]
Compound: CaCePb3
Source: Alexandria via LeMat-Bulk
Functional: PBE
Structure: relaxed

a = 4.9851 Å, b = 9.0410 Å, c = 7.7914 Å
α = 90.00°, β = 71.32°, γ = 90.00°
Last column: nearest neighbours and their distance in Å.
Element x y z (fractional)
Pb (0.1709, 0.5025, 0.1590)  4 Pb 3.34-3.43, 3 Ce 3.38-3.59, 3 Ca 3.40-3.50
Pb (0.0048, 0.2500, 0.4902)  2 Ca 3.26, 2 Ce 3.30, 4 Pb 3.34-3.42
Ce (0.3582, 0.2500, 0.7833)  8 Pb 3.30-3.59
Pb (0.8291, 0.4975, 0.8410)  4 Pb 3.34-3.43, 3 Ce 3.38-3.59, 3 Ca 3.40-3.50
Pb (0.8291, 0.0025, 0.8410)  4 Pb 3.34-3.43, 3 Ce 3.38-3.59, 3 Ca 3.40-3.50
Ce (0.6418, 0.7500, 0.2167)  8 Pb 3.30-3.59
Ca (0.6479, 0.2500, 0.2050)  8 Pb 3.26-3.50
Pb (0.9952, 0.7500, 0.5098)  2 Ca 3.26, 2 Ce 3.30, 4 Pb 3.34-3.42
Pb (0.1709, 0.9975, 0.1590)  4 Pb 3.34-3.43, 3 Ce 3.38-3.59, 3 Ca 3.40-3.50
Ca (0.3521, 0.7500, 0.7950)  8 Pb 3.26-3.50

Output
The space-group type is P2_1/m, No. 11.

[4]
Compound: Ca2CePb3
Source: Alexandria via LeMat-Bulk
Functional: PBE
Structure: relaxed

a = 8.1396 Å, b = 8.1396 Å, c = 9.1394 Å
α = 90.00°, β = 90.00°, γ = 143.29°
Last column: nearest neighbours and their distance in Å.
Element x y z (fractional)
=====

Chance: Sounds good.

She didn’t respond. I couldn’t help sending one last text.

Chance: I can’t wait.

I spent the rest of Friday afternoon and evening preparing for our Sunday trip. First order of business: buying Aubrey a helmet. At the store, I nearly died in laughter when I spotted one that was supposed to look like the green skin of a watermelon. It had a triangle sliced into it that made it appear like a chunk was cut off. I figured she’d kill me if I made her wear that. I settled on a different one that was perfect for her.

Not used to riding with anyone, I also adjusted the rear suspension on the bike in preparation for my passenger.

Back at the motel, I went online in search of a route that we could take and a good place where we could stop. I found a town called Julian that was about seventy-six miles away. That would mean about a two-hour ride. It was a mountainous area about an hour east of San Diego and apparently known for its apple pies. Apple pie for my apple-bottom girl. Julian it was.

I kept fantasizing about finding a bed and breakfast there where we could stay the night but knew that she would never go for that. So, our destination had to be easily doable in a round trip, getting us back to Temecula at a decent hour.

Sunday finally rolled around. I made sure I pulled out all the stops in looking every bit like Aubrey’s biker boy fantasy. Wearing a distressed brown leather jacket, blue jeans and my shiny black helmet, I was ready to claim the only woman I ever wanted on the back of my ride. Charlie Hummer better watch out.

Rather than go to her door, I revved the engine of the bike right in front of her house, prompting her to come outside. The entire neighborhood was now aware of my arrival.

Aubrey came out, and it warmed my heart to see her smiling. She was wearing a short, tight black leather jacket that hugged her tits. Fuck me. Her hair was down, and she wore high black leather boots over her jeans.

As I held out her helmet, my mouth spread into a huge smile. “God, you look fucking hot.”

She covered her mouth in laughter when she looked down at the pink helmet I’d picked out that had the words Biker Princess etched onto the side. “Biker Princess? Did you have this made?”

“No. They had it at the bike shop. How perfect is that? It was fate.”

“What would really be perfect is if yours said Cocky Bastard.” She winked. I was thrilled to see that the version of her that showed up today was feisty Aubrey. My dick was even more thrilled.

“Ready to roll, Princess?”

“Honestly, I’m a little scared. I’ve never been on one of these in my life.”

“You know the feeling you have when you’re riding in a convertible?”


“Well, times that by ten. That’s what it’s gonna be like. Fucking awesome, Aubrey.”

She still looked nervous.

“Are you nervous, baby?”

“I can’t help it.”

“Don’t be scared. Just don’t let go of me. That’s the main thing you have to remember.”

Please don’t ever let go of me.

“Believe me. I won’t,” she said.

“Is that a promise?”

She blushed knowing what I was really getting at and ignored the question.

“This is my first time too, you know,” I said.

“What do you mean? You’ve been on a motorcycle plenty of times.”

“Yes, but you’re the first woman that’s ever ridden behind me.”


“Really.” I put the helmet over her head. “Here, let me help you.” Adjusting the strap, I looked into her beautiful eyes, and said, “Now, I’m gonna teach you some things before we leave. I read up on some safety stuff.”

“Alright.” She looked adorable with that huge pink helmet on her head.